Flora 4 Fauna - Australia

About Flora 4 Fauna - Australia

This page is dedicated to the revegetation of the environment by educating the community about Native Australian Bushfoods & Fauna Attracting Host Plants!

Flora 4 Fauna - Australia Description

This page is dedicated to the revegetation of the environment by supplying the community with Native Australian Bushfoods & Fauna Attracting Host Plants!

We have seen a dramatic increase in the clearing of natural flora over past few years not only in SE Queensland, but all over the country.

In QLD alone, over 1 million + hectares of wildlife habitat has been destroyed in recent years for and by property developers, mining companies, industrialized agriculture, commerce and industry.

While the human populations appear to benefit, in the short-term, from this dramatic change in the environment, the flora and fauna species take a direct hit to their longevity, due to loss of native food sources, natural habitat, breeding grounds, protection from the elements and predation, etc.

In the longer term, dramatic environmental destruction has been scientifically proven to be extremely detrimental to the well-being of the human population, as we (humans) are actively destroying that which we are dependent on for a 'free' wild food source, fresh clean air, protection from the extremes of the elements, physical longevity and peace of mind.

It has been proven that humans experience an increase in positivity when in contact with the natural world and that every living tree produces enough oxygen for at least 4 people!

(These records of crystals were left in the text by mistake)
Computed powder X-ray diffraction pattern of Pa3Ni6Ge2 for Cu Ka, from a DFT-relaxed cell (PBE, Alexandria).
Intensities are scaled so that the largest is 100.

Main lines, low angle first (10° ≤ 2θ ≤ 90°):
2θ (°)	intensity
24.76	41
32.13	44
35.30	81
38.23	38
40.98	37
43.59	100
57.29	34
59.35	19
61.37	17
65.30	22
70.97	33
80.05	22

Structural model:
```
data_Pa3Ni6Ge2
_chemical_formula_sum 'Pa12 Ni24 Ge8'
_cell_length_a 8.8088
_cell_length_b 8.8088
_cell_length_c 8.8088
_cell_angle_alpha 90.00
_cell_angle_beta 90.00
_cell_angle_gamma 90.00
_space_group_name_H-M_alt 'I m -3 m'
_space_group_IT_number 229
_space_group_name_Hall '-I 4 2 3'
loop_
_atom_site_label
_atom_site_type_symbol
_atom_site_fract_x
_atom_site_fract_y
_atom_site_fract_z
Pa1 Pa 0.0000 0.0000 0.2779
Ni1 Ni 0.0000 0.3465 0.3465
Ge1 Ge 0.2500 0.2500 0.2500
```

Computed powder X-ray diffraction pattern of Rb2LiIBr2 for Cu Ka, from a DFT-relaxed cell (PBE, Alexandria).
Intensities are scaled so that the largest is 100.

Main lines, low angle first (10° ≤ 2θ ≤ 90°):
2θ (°)	intensity
19.92	22
26.32	100
26.86	92
31.98	27
34.45	58
39.81	18
41.96	15
44.22	47
49.51	20
55.37	27
56.94	22
59.22	15

Structural model:
```
data_Rb2LiIBr2
_chemical_formula_sum 'Rb2 Li1 I1 Br2'
_cell_length_a 5.2071
_cell_length_b 5.2071
_cell_length_c 8.6135
_cell_angle_alpha 90.00
_cell_angle_beta 90.00
_cell_angle_gamma 90.00
_space_group_name_H-M_alt 'P 4/m m m'
_space_group_IT_number 123
_space_group_name_Hall '-P 4 2'
loop_
_atom_site_label
_atom_site_type_symbol
_atom_site_fract_x
_atom_site_fract_y
_atom_site_fract_z
Rb1 Rb 0.0000 0.0000 0.2323
Li1 Li 0.5000 0.5000 0.5000
I1 I 0.5000 0.5000 0.0000
Br1 Br 0.0000 0.5000 0.5000
```

Computed powder X-ray diffraction pattern of ErCdInSn for Cu Ka, from a DFT-relaxed cell (PBE, Alexandria).
Intensities are scaled so that the largest is 100.

Main lines, low angle first (10° ≤ 2θ ≤ 90°):
2θ (°)	intensity
33.73	100
37.82	18
39.23	17
40.33	15
55.63	12
56.48	11
57.53	11
65.70	14
67.61	13
69.13	12
70.92	11
80.82	2

Structural model:
```
data_ErCdInSn
_chemical_formula_sum 'Er1 Cd1 In1 Sn1'
_cell_length_a 4.4722
_cell_length_b 4.5932
_cell_length_c 4.7570
_cell_angle_alpha 90.00
_cell_angle_beta 90.00
_cell_angle_gamma 90.00
_space_group_name_H-M_alt 'P m m m'
_space_group_IT_number 47
_space_group_name_Hall '-P 2 2'
loop_
_atom_site_label
_atom_site_type_symbol
_atom_site_fract_x
_atom_site_fract_y
_atom_site_fract_z
Er1 Er 0.0000 0.0000 0.0000
Cd1 Cd 0.0000 0.5000 0.5000
In1 In 0.5000 0.0000 0.5000
Sn1 Sn 0.5000 0.5000 0.0000
```

Computed powder X-ray diffraction pattern of Nb6TlS8 for Cu Ka, from a DFT-relaxed cell (PBE, Alexandria).
Intensities are scaled so that the largest is 100.

Main lines, low angle first (10° ≤ 2θ ≤ 90°):
2θ (°)	intensity
21.04	71
27.95	45
28.33	49
33.88	23
38.43	53
38.72	100
41.68	20
45.82	34
49.46	37
68.24	19
76.26	20
85.40	19

Structural model:
```
data_Nb6TlS8
_chemical_formula_sum 'Nb6 Tl1 S8'
_cell_length_a 9.7511

For those reasons alone, we should endeavour to not only protect the existing environment, where practicable, but we should also replenish it with native Australian regeneration plant species and food sources for both humans and native fauna alike.

Flora 4 Fauna - Australia is actively working towards providing the community with:

- Native Australian Plants through regular plant sales;

- The facilitation of small. medium and large-scale regeneration projects;

- Educational 'Walks and Talks';

~~~
Simulated powder XRD pattern of Cs3PtI8 for Cu Ka, from a crystal structure in Alexandria, relaxed with PBE.

```
Cs3PtI8
1.0
11.5203 0.0000 0.0000
-5.7602 9.9769 0.0000
0.0000 0.0000 9.9893
Cs Pt I
6 2 16
direct
0.1517 0.3034 0.0000
0.1517 0.8483 0.0000
0.3034 0.1517 0.5000
0.6966 0.8483 0.0000
0.8483 0.1517 0.5000
0.8483 0.6966 0.5000
0.3333 0.6667 0.4337
0.6667 0.3333 0.9337
0.0000 0.0000 0.2493
0.0000 0.0000 0.7493
0.1103 0.5552 0.2804
0.2215 0.4431 0.5903
0.2215 0.7785 0.5903
0.3333 0.6667 0.9258
0.4431 0.2215 0.0903
0.4448 0.5552 0.2804
0.4448 0.8897 0.2804
0.5552 0.1103 0.7804
0.5552 0.4448 0.7804
0.5569 0.7785 0.5903
0.6667 0.3333 0.4258
0.7785 0.2215 0.0903
0.7785 0.5569 0.0903
0.8897 0.4448 0.7804
```

Most intense lines, 2θ = 10–90°, sorted by position:
2theta  Rel. int.
12.5  28
15.4  28
19.9  28
25.2  100
28.3  63
29.7  29
31.1  33
32.3  27
36.0  29
37.1  29
45.4  26
49.2  42

Simulated powder XRD pattern of CsPt2I for Cu Ka, from a crystal structure in Alexandria, relaxed with PBE.

```
CsPt2I
1.0
-2.8368 2.8368 8.6814
2.8368 -2.8368 8.6814
2.8368 2.8368 -8.6814
Cs Pt I
2 4 2
direct
0.3750 0.6250 0.7500
0.6250 0.3750 0.2500
0.0000 0.0000 0.0000
0.0000 0.0000 0.5000
0.0000 0.5000 0.0000
0.5000 0.0000 0.5000
0.1250 0.8750 0.2500
0.8750 0.1250 0.7500
```

Most intense lines, 2θ = 10–90°, sorted by position:
2theta  Rel. int.
16.4  100
21.9  55
24.4  74
30.2  25
33.2  75
35.8  32
37.9  23
38.4  22
38.7  24
41.6  28
44.7  33
50.1  66

Simulated powder XRD pattern of Cs8Pt2I3 for Cu Ka, from a crystal structure in Alexandria, relaxed with PBE.

```
Cs8Pt2I3
1.0
9.7540 -4.9551 0.0000
9.7540 4.9551 0.0000
-3.2136 0.0000 8.5192
Cs Pt I
8 2 3
direct
0.1105 0.1105 0.3149
0.1223 0.5950 0.0850
0.3650 0.3650 0.5266
0.4050 0.8777 0.9150
0.5950 0.1223 0.0850
0.6350 0.6350 0.4734
0.8777 0.4050 0.9150
0.8895 0.8895 0.6851
0.2412 0.2412 0.1525
0.7588 0.7588 0.8475
0.2297 0.7703 0.5000
0.5000 0.5000 0.0000
0.7703 0.2297 0.5000
```

Most intense lines, 2θ = 10–90°, sorted by position:
2theta  Rel. int.
11.4  29
13.3  41
15.7  59
17.1  33
21.3  72
24.8  41
25.9  100
26.0  38
29.4  58
31.1  100
34.7  84
36.3  49

Simulated powder XRD pattern of CsRb2PtI6 for Cu Ka, from a crystal structure in Alexandria, relaxed with PBE.

```
CsRb2PtI6
1.0
-4.4031 4.4031 6.5588
4.4031 -4.4031 6.5588
4.4031 4.4031 -6.5588
Cs Rb Pt I
1 2 1 6
direct
0.0000 0.0000 0.0000
0.2500 0.7500 0.5000
0.7500 0.2500 0.5000
0.5000 0.5000 0.0000
0.2735 0.2735 0.0000
0.2850 0.2850 0.5700
0.2850 0.7150 0.0000
0.7150 0.2850 0.0000
0.7150 0.7150 0.4300
0.7265 0.7265 0.0000
```

Most intense lines, 2θ = 10–90°, sorted by position:
2theta  Rel. int.
12.1  47
13.5  37
14.2  70
19.7  29
24.3  69
27.2  62
28.7  100
37.5  21
39.9  75
41.0  32
49.9  33
51.1  20

Simulated powder XRD pattern of CsZnPtI2 for Cu Ka, from a crystal structure in Alexandria, relaxed with PBE.

```
CsZnPtI2
1.0
5.8682 0.0000 0.0000
0.0000 5.8682 0.0000
0.0000 0.0000 4.9433
Cs Zn Pt I
1 1 1 2
direct
0.0000 0.0000 0.0000
~~~
So much for the records of crystals:

- Bushfood & Biodiversity Eco Tours; &

- The provision of (easy-to-follow) advice to help individuals and local community groups regenerate the depleted parts of Australia by planting Native Australian Bushfoods & Fauna Attracting Host Plants, etc.

Australia has one of the most diverse environments in the world and SE Queensland is one of the most (internationally recognized) biodiverse areas on the continent.

With that in mind, we invite you to get involved in this community based project by liking our Facebook pages and joining our Flora 4 Fauna - Australia support group that are designed to increase public awareness about our native Australian Bushfoods & Pollinator Attracting plants, the plight of our natural world and what can be done to help rectify the current situation!

Feel free to invite your family and friends to become part of this (community based) educationally inspired (native Australian) green revolution!

* To see our native Australian Flora and Fauna in their natural environment, feel free to visit our Interpretive Eco Tour Page at:

https://www. facebook.com/Flora4FaunaEcoTours /

To share your Flora 4 Fauna experiences in your own garden and / or local environment, join our Flora 4 Fauna - Australia 'Support Group' here:

https://www. facebook.com/groups /flora4faunaqld /

# 1
The following is a theoretical powder diffraction line list of CaTi3V5O16. It was derived from a crystal structure in Alexandria, relaxed with PBE+U, using Cu Kα X-rays.
Intensities are scaled so that the largest is 100.

Structure:
```
CaTi3V5O16
1.0
6.0291 0.0000 0.0000
3.0132 5.2738 0.0000
0.1939 0.0591 9.2650
Ca Ti V O
1 3 5 16
direct
0.0000 0.0000 0.0000
0.1863 0.1545 0.6512
0.4896 0.9866 0.1835
0.6508 0.2045 0.6551
0.1515 0.6642 0.6577
0.5009 0.4897 0.1708
0.6655 0.6659 0.8730
0.9827 0.9897 0.3979
0.9995 0.5003 0.1669
0.1464 0.1595 0.2605
0.1680 0.6720 0.2595
0.2691 0.8690 0.5270
0.3356 0.3204 0.5494
0.3358 0.3267 0.0709
0.3999 0.8091 0.0414
0.4891 0.5062 0.7617
0.4904 0.9968 0.7601
0.6645 0.6642 0.2774
0.6813 0.1455 0.2571
0.7838 0.3969 0.0418
0.8247 0.7734 0.0400
0.8432 0.2837 0.5231
0.8505 0.8564 0.5188
0.9725 0.0144 0.7627
0.9863 0.4886 0.7588
```

Top 10 peaks for 5 to 70 degrees two-theta, in order of rising 2θ:
2θ = 19.2°, I = 100; 2θ = 19.3°, I = 52; 2θ = 19.6°, I = 37; 2θ = 25.7°, I = 30; 2θ = 25.9°, I = 36; 2θ = 35.2°, I = 30; 2θ = 35.4°, I = 41; 2θ = 35.5°, I = 40; 2θ = 35.9°, I = 38; 2θ = 61.0°, I = 34

# 2
The following is a theoretical powder diffraction line list of CaTi3V5O16. It was derived from a crystal structure in Alexandria, relaxed with PBE+U, using Cu Kα X-rays.
Intensities are scaled so that the largest is 100.

Structure:
```
CaTi3V5O16
1.0
5.9302 0.0000 0.0000
-2.8877 5.3060 0.0000
-0.0999 -0.1382 10.5998
Ca Ti V O
1 3 5 16
direct
0.0000 0.0000 0.0000
0.3117 0.3319 0.7285
0.4970 0.5046 0.2456
0.9186 0.6480 0.7146
0.0023 0.0009 0.3025
0.3735 0.6998 0.5116
0.5046 0.0003 0.2600
0.6892 0.0160 0.7199
0.9884 0.4920 0.2769
0.0136 0.0257 0.6745
0.0412 0.7340 0.8629
0.1116 0.5080 0.6339
0.1783 0.8144 0.3723
0.2038 0.3842 0.3793
0.2476 0.3450 0.8824
0.3131 0.1646 0.1812
0.3165 0.6510 0.1713
0.4614 0.9929 0.5747
0.5836 0.6533 0.6412
0.6368 0.3139 0.7464
0.6453 0.8151 0.3724
0.6520 0.9245 0.8699
0.6825 0.3486 0.3550
0.8352 0.6788 0.1792
0.8534 0.1613 0.1852
```

Top 10 peaks for 5 to 70 degrees two-theta, in order of rising 2θ:
2θ = 8.3°, I = 55; 2θ = 16.7°, I = 100; 2θ = 18.8°, I = 12; 2θ = 19.2°, I = 15; 2θ = 30.3°, I = 12; 2θ = 30.8°, I = 11; 2θ = 33.8°, I = 12; 2θ = 38.1°, I = 14; 2θ = 42.9°, I = 23; 2θ = 43.5°, I = 15

# 3
The following is a theoretical powder diffraction line list of CaTi3V5O16. It was derived from a crystal structure in Alexandria, relaxed with PBE+U, using Cu Kα X-rays.
Intensities are scaled so that the largest is 100.

Structure:
```
CaTi3V5O16
1.0
5.9894 0.0000 0.0000
-2.9858 5.2534 0.0000
-0.0758 -0.1344 9.4339
Ca Ti V O
1 3 5 16
direct
0.0000 0.0000 0.0000
0.4900 0.9783 0.8094
0.7648 0.1247 0.3409
0.9814 0.4903 0.8177
0.3065 0.1965 0.3467
0.3275 0.6676 0.1109
0.4897 0.4876 0.8223
0.8350 0.6586 0.3243
0.9906 0.9865 0.5991
0.1301 0.8654 0.4536
0.1310 0.2907 0.4592
0.1830 0.7866 0.9460
0.2040 0.3928 0.9465
0.3102 0.1451 0.7319
0.3184 0.6554 0.7138
0.4712 0.9981 0.2256
0.4854 0.5080 0.2283

If you have enjoyed our educational programs and conservation tours and events and are happy for others read about your positive experiences, you may like to write a review here:

https://www. facebook.com/pg /Flora4FaunaAustralia /reviews /